Create a detailed educational physics-themed image without text. It should include five scenes, each corresponding to one of the questions in the exam. Scene 1: An object with shown mass and velocity, symbolizing momentum calculation. Scene 2: The same object varying in speed, illustrating acceleration, mass, velocity, and momentum. Scene 3: Two objects facing each other, one at rest and the other in motion to depict Newton's second law of motion. Scene 4: A static system with directional arrows balancing each other, indicating a total net force of zero. Scene 5: Four split-framed scenarios - a balloon floating, a plane landing, a rock falling, and a car on a racetrack.

Need serious help!!

1. How can the momentum of a moving object be found?
A. By multiplying its mass by its acceleration.
B. By dividing its change in distance trabeled by the time it travels.
C. By dividing its velocity bu the time it travels.
D. By multiplying its mass by its velocity.

2. In everyday life, changing the speed of a moving object will change all but which value?
A. Acceleration
B. Mass
C. Velocity
D. Momentum

# Inserted here: data records
~~~
Below is crystalline MnMoSe4 at its relaxed geometry, with properties calculated at the PBE level.

Cell: 8.0391 8.0391 8.0391 Å, 90.00 90.00 90.00°
Space group F-43m (No. 216)
Inequivalent atoms, fractional coordinates:
Mn  0.0000  0.0000  0.0000 [4 per cell]
Mo  0.2500  0.2500  0.7500 [4 per cell]
Se  0.1247  0.1247  0.3753 [16 per cell]

Formation energy from raw total energies: 107.9 kJ/mol of atoms
Spin magnetization: 9.025 μB/f.u.

=====

Below is crystalline HfCdO3 at its relaxed geometry, with properties calculated at the PBE level.

Cell: 4.0613 4.0613 4.0613 Å, 90.00 90.00 90.00°
Space group Pm-3m (No. 221)
Inequivalent atoms, fractional coordinates:
Hf  0.0000  0.0000  0.0000 [1 per cell]
Cd  0.5000  0.5000  0.5000 [1 per cell]
O  0.0000  0.5000  0.5000 [3 per cell]

Formation energy from raw total energies: -45.1 kJ/mol of atoms
Spin magnetization: 0.000 μB/f.u.

=====

Below is crystalline Ho2ScAu3 at its relaxed geometry, with properties calculated at the PBE level.

Cell: 3.5021 3.5021 10.6967 Å, 90.00 90.00 90.00°
Space group P4/mmm (No. 123)
Inequivalent atoms, fractional coordinates:
Ho  0.0000  0.0000  0.1720 [2 per cell]
Sc  0.0000  0.0000  0.5000 [1 per cell]
Au  0.5000  0.5000  0.0000 [1 per cell]
Au  0.5000  0.5000  0.3481 [2 per cell]

Formation enthalpy at 0 K: -0.85 eV/atom
Spin magnetization: 0.000 μB/f.u.

=====

Below is crystalline NaPaInS4 at its relaxed geometry, with properties calculated at the PBE level.

Cell: 8.1197 8.2362 11.4306 Å, 90.00 90.00 90.00°
Space group Imma (No. 74)
Inequivalent atoms, fractional coordinates:
Na  0.0000  0.2500  0.1368 [4 per cell]
Pa  0.0000  0.0000  0.5000 [4 per cell]
In  0.2500  0.2500  0.7500 [4 per cell]
S  0.0000  0.0292  0.7311 [8 per cell]
S  0.2170  0.2500  0.5021 [8 per cell]

Formation energy from raw total energies: -110.3 kJ/mol of atoms
Spin magnetization: 0.522 μB/f.u.

=====

Below is crystalline ThCuNi at its relaxed geometry, with properties calculated at the PBE level.

Cell: 4.2220 4.2220 3.6938 Å, 90.00 90.00 120.00°
Space group P-6m2 (No. 187)
Inequivalent atoms, fractional coordinates:
Th  0.0000  0.0000  0.0000 [1 per cell]
Cu  0.6667  0.3333  0.5000 [1 per cell]
Ni  0.3333  0.6667  0.5000 [1 per cell]

Formation enthalpy at 0 K: -0.32 eV/atom
Spin magnetization: 0.000 μB/f.u.

=====

Below is crystalline LiCd4Hg2 at its relaxed geometry, with properties calculated at the PBE level.

Cell: 6.8423 13.5511 3.3807 Å, 90.00 90.00 90.00°
Space group Pbam (No. 55)
Inequivalent atoms, fractional coordinates:
Li  0.0000  0.0000  0.0000 [2 per cell]
Cd  0.0140  0.2361  0.0000 [4 per cell]
Cd  0.2088  0.6103  0.5000 [4 per cell]
Hg  0.2342  0.3964  0.5000 [4 per cell]

Formation enthalpy at 0 K: -0.11 eV/atom
Spin magnetization: 0.000 μB/f.u.

=====

Below is crystalline AcPrAgI at its relaxed geometry, with properties calculated at the PBE level.

Cell: 7.9491 7.9491 7.9491 Å, 90.00 90.00 90.00°
Space group F-43m (No. 216)
~~~
# The data records stop here

3. What does Newton's second law of motion state?
A. For every force there is an equal and opposite force.
B. Momentum equals mass times velocity.
C. Force equals mass times acceleration.
D. An object at rest stays at rest and an object in motion stays in motion with the same speed and the same direction unless acted upon by an unbalanced force.

4. If the total net force on a system is zero, assuming the mass remains constant, which must be true?
A. The velocity is increasing.
B.The acceleration is increasing.
C. The acceleratin is zero.
D. The velocity is decreasing.

5. Which scenario describes an object experiencing zero net force?
A. A balloon floating upward at a constant velocity.
B. A plane landing on a runway.
C. A rock falling off a cliff.
D. A car driving around a circular race track.

Someone pasted data records at this point >
- - -
Entry 1:
Computed, not measured: Ni2AsRh after structural relaxation at the PBE level of DFT.

The structure belongs to space group Immm (No. 71); the cell edges are 2.867, 4.249 and 8.423 Å and the angles 90.00°, 90.00° and 90.00°. The asymmetric unit holds Ni at (0.000, 0.000, 0.222), As at (0.000, 0.500, 0.500) and Rh at (0.000, 0.500, 0.000).

The calculated volume is 12.8 Å³ per atom. The total magnetic moment comes out at 0.000 μB per atom. As for the calculated total energy: -23.98 eV/f.u. The calculation puts the calculated formation energy at -0.10 eV/atom. The crystal system is orthorhombic.

Entry 2:
Computed, not measured: Ag2Pt2Pb after structural relaxation at the PBE level of DFT.

The structure belongs to space group I4/mmm (No. 139); the cell edges are 3.959, 3.959 and 13.079 Å and the angles 90.00°, 90.00° and 90.00°. The asymmetric unit holds Ag at (0.000, 0.500, 0.250), Pt at (0.000, 0.000, 0.100) and Pb at (0.000, 0.000, 0.500).

The energy above the most stable polymorph in this dataset comes out at 71 meV/atom. The calculated volume is 20.5 Å³ per atom. The total magnetic moment comes out at 0.000 μB per atom. As for the calculated total energy: -20.89 eV/f.u. The calculation puts the calculated formation energy at 0.12 eV/atom. The crystal system is tetragonal.

Entry 3:
Computed, not measured: Mn3TeSe after structural relaxation at the PBE level of DFT.

The structure belongs to space group Pm-3m (No. 221); the cell edges are 4.831, 4.831 and 4.831 Å and the angles 90.00°, 90.00° and 90.00°. The asymmetric unit holds Mn at (0.000, 0.000, 0.500), Te at (0.500, 0.500, 0.500) and Se at (0.000, 0.000, 0.000).

The energy above the most stable polymorph in this dataset comes out at 0 meV/atom. The calculated volume is 22.6 Å³ per atom. The total magnetic moment comes out at 2.600 μB per atom. As for the calculated total energy: -31.96 eV/f.u. The crystal system is cubic. For the formation energy (no corrections), the calculation gives 210 kJ/mol of formula units.

=====

[1]
Compound: LuMgZnSn
Source: Alexandria via LeMat-Bulk
Functional: PBE
Structure: relaxed

The crystal system is cubic. The space group is F-43m, No. 216. As for the formation energy: -0.253 eV per atom.

Cell: 5.0091 5.0091 5.0091 Å, 60.00 60.00 60.00°
Fractional coordinates of all 4 atoms:
Mg 0.5000 0.5000 0.5000
Zn 0.2500 0.2500 0.2500
Lu 0.0000 0.0000 0.0000
Sn 0.7500 0.7500 0.7500



[2]
Compound: La2MoPb
Source: Alexandria via LeMat-Bulk
Functional: PBE
Structure: relaxed

The crystal system is tetragonal. The space group is I-4m2, No. 119. As for the formation energy: 0.204 eV per atom.

Cell: 5.6922 5.6922 5.6922 Å, 129.98 129.98 73.44°
Site moments in Bohr magnetons follow the coordinates.
Fractional coordinates of all 4 atoms:
La 0.0000 0.0000 0.0000  -0.07
La 0.2500 0.7500 0.5000  0.01
Mo 0.5000 0.5000 0.0000  1.30
Pb 0.7500 0.2500 0.5000  -0.02



[3]
Compound: CsOs2Au
Source: Alexandria via LeMat-Bulk
Functional: PBE
Structure: relaxed
- - -
End of the data records >

1. A

2. B
3. A
4. D
5. A

rainbow is wrong i failed its


1) by multiplying its mass by its velocity

2) mass
3) Force equals mass times acceleration.
4) The acceleration is zero.
5) A balloon floating upward at a constant velocity.

Yea is right! 100%

Thx Yea, 100% on Zero Net Force Quick Check

100% let’s gooooo

Need one more like on yea answer hehe

Yea it's 100% correct Wait till I tell Miss Sue you'll get 100% and all your classes

Yea is correct. Please use his answers if you’re doing the connexus zero net force quick check.

yall remember jishika?

Yep, what happened to it?